Heuretics has been characterised as the other of hermeneutics which is a science of interpretation. We can derive its links with eureka, heuristics and even heresy. Hermeneutics asks, what can we make of a text? Heuretics asks, what can be made from the text? Hermeneutics gained popular currency while Heuretics is still in the waiting queue. Here we shall try to understand what is heuretics and try to unearth how it can enable us to understand and respond to the cyber world. Heuretics strives to use texts generatively. It is inventive in nature. Gregory Ulmer, an American thinker has elaborated it in his books, Teletheory and Heuretics. Textual production has become the goal of hermeneutics these days. In fact, hermeneutics has become a means to heuretics. Any text is germinative and productive. Heuretics depends on this potency of the text. Ulmer proposes that we need hereutics to understand and respond to the texts of the new communicative media that is based in the web.
Invention in the classical oral and print culture is an art of recalling and determining what it is that one would think or say regarding a given subject. Ulmer teaches that the grammatology of Derrida assists inventive writing. This belief enables him to move from linear discursive production of discourse to non-linear, hypertextual / multi-media production. The discovery or inventive writing is inventive in the process of writing. This means composition becomes discovery. It is serendipitous. It calls us to return to the rhetoric/ poetics. But this return is an anti-methodology. It is not concerned with critique or what could be the meaning of the existing text (hermeneutical concern). This means Ulmer does not critique ludic discourses for not being political but calls for them to invent a politics. Therefore, the principle of heuretics is not about saying what something is by saying what it is not. But by affirming heretofore unacceptable connections. This is why heuretic is heretical. Maybe we can call it her-ethical to demonstrate the unacceptable connections of the word heretical and thus manifest how we can write heuretically. Thus, heuretics takes a leap out of oneness, binaries to threes-as-excess and transcends the either/ or binary structure of our habitual thinking.
The either/ or thinking puts all our thinking to two tests to qualify to become knowledge. The first test checks whether thought is universal and the second test checks whether it is teachable. Right from the time of Socrates and Plato, all knowledge had to submit to this Phallus. Hence, often such a knowledge is thought to be masculine. Heuretics being heretic and being her-ethics does not Oediplalize to the phallus of either/ or thinking. It stays generative and productive by negating the principle of contradiction and thus it makes room for the return of the excluded third… fourth… fifth… This means hereutics as taught by Ulmer is unaccountable and as such is an anti-methodology. But in the very unaccountable position, we can find accountable. This is why we can trace a method in the anti-method of Ulmer’s heuretics. Hence, we find an acronym CATTt to stand for his anti-method:
C = Contrast (opposition, inversion, differentiation)
A = Analogy (figuration, displacement)
T = Theory (repetition, literalization)
T = Target (application, purpose)
Materials data, kept here for reference =
-- begin --
Record 1
CaGaGeH | the Materials Project | PBE-GGA | relaxed; symmetry = P3m1; E = -3.6879 eV/atom; E (MP2020) = -3.733 eV/atom; formation enthalpy at 0 K = -470 meV per atom; maximum piezoelectric response = 0.62 C/m2
1.0
-2.842 0.486 2.989
1.327 -3.805 -1.004
3.497 0.357 3.267
Ca Ga Ge H
1 1 1 1
direct
0.333 0.667 0.000
0.000 0.000 0.565
0.667 0.333 0.424
0.000 0.000 0.929



Record 2
Ca3Ga3Ge3O14 | the Materials Project | PBE-GGA | relaxed; symmetry = P321; E = -6.3580 eV/atom; E (MP2020) = -6.776 eV/atom; formation enthalpy at 0 K = -2505 meV per atom
1.0
4.118 -7.133 0.000
4.118 7.133 0.000
0.000 0.000 5.038
Ca Ga Ge O
3 3 3 14
direct
0.578 0.000 0.000
0.000 0.578 0.000
0.422 0.422 0.000
0.242 0.000 0.500
0.000 0.242 0.500
0.758 0.758 0.500
0.333 0.667 0.541
0.667 0.333 0.459
0.000 0.000 0.000
0.464 0.147 0.304
0.853 0.317 0.304
0.147 0.464 0.696
0.683 0.536 0.304
0.317 0.853 0.696
0.536 0.683 0.696
0.137 0.215 0.229
0.785 0.922 0.229
0.215 0.137 0.771
0.078 0.863 0.229
0.922 0.785 0.771
0.863 0.078 0.771
0.333 0.667 0.196
0.667 0.333 0.804



Record 3
Ca3Ga2Ge4O14 | the Materials Project | PBE-GGA | relaxed; symmetry = C2; E = -6.4919 eV/atom; E (MP2020) = -6.910 eV/atom; formation enthalpy at 0 K = -2569 meV per atom
1.0
4.092 7.084 0.000
-4.092 7.084 0.000
0.000 0.053 5.028
Ca Ga Ge O
3 2 4 14
direct
0.579 0.997 0.999
0.003 0.421 0.001
0.415 0.585 0.000
0.238 0.998 0.505
0.002 0.762 0.495
0.761 0.239 0.500
0.006 0.994 0.000
0.668 0.668 0.531
0.332 0.332 0.469
0.780 0.083 0.758
0.071 0.141 0.774
0.138 0.785 0.769
0.917 0.220 0.242
0.215 0.862 0.231
0.859 0.929 0.226
0.667 0.665 0.188
0.335 0.333 0.812
0.543 0.314 0.316
0.318 0.147 0.309
0.151 0.535 0.305
0.686 0.457 0.684
0.465 0.849 0.695
0.853 0.682 0.691



Record 4
CaGaH5 | the Materials Project | PBE-GGA | relaxed; symmetry = P2_1; E = -3.3191 eV/atom; E (MP2020) = -3.447 eV/atom; formation enthalpy at 0 K = -305 meV per atom; maximum piezoelectric response = 0.14 C/m2
1.0
-2.932 3.133 0.949
-2.875 -4.038 4.446
3.358 1.414 5.709
Ca Ga H
2 2 10
direct
0.000 0.830 0.668
0.500 0.170 0.332
0.242 0.714 0.202
0.742 0.286 0.798
0.077 0.680 0.001
0.577 0.320 0.999
0.499 0.880 0.583
0.999 0.120 0.417
0.449 0.518 0.289
0.949 0.482 0.711
0.448 0.917 0.144
0.948 0.083 0.856
0.986 0.737 0.361
0.486 0.263 0.639



Record 5
Ca6Ga6Si3H2O24 | the Materials Project | PBE-GGA | relaxed; symmetry = P1; E = -6.4242 eV/atom; E (MP2020) = -6.826 eV/atom; formation enthalpy at 0 K = -2631 meV per atom
1.0
-1.353 -1.222 -7.577
4.578 -5.857 2.885
-17.151 -6.563 6.757
Ca Ga Si H O
12 12 6 4 48
direct
0.901 0.902 0.096
0.481 0.474 0.239
0.674 0.978 0.334
0.145 0.133 0.573
0.337 0.644 0.669
0.954 0.652 0.332
0.574 0.560 0.429
0.800 0.802 0.902
0.623 0.322 0.668
0.236 0.228 0.763
0.997 0.284 0.000
0.286 0.002 0.999
0.416 0.672 0.082
0.007 0.256 0.247
0.667 0.421 0.087
0.744 0.251 0.499
0.410 0.911 0.835
0.251 0.999 0.250
0.754 0.000 0.749
0.582 0.084 0.166
0.912 0.671 0.586
0.259 0.750 0.500
0.579 0.333 0.918
-- stop --
t = Tale (secondary elaboration, representability)
Contrast counters the dominant discourses. This is the first step of the anti-method. It breaks the either/ or thinking and makes a way to move beyond one (monism), two (dual dialectics) to three (trilectics) and beyond. This is further achieved by reading the discourse not at the level of its arguments but at the level of its particulars, such as its examples, analogies etc. This exercise displaces the argument. Once the argument is displaced, we replace it with an opposite argument that is also made coherent (secondary elaboration). This brings us to the step of poetising. It is the moment to say yes to the text twice. It leads to the affirmation of other connections that makes room for novelty/ third option to irrupt. This shows that Ulmer invites us to concentrate on the tropes and not on the linear logical argumentation of the text. It is in the tropes of the text one can find ways of novel writing of the text that grammatology challenges us to do. It challenges us to say that which remains unsaid. It leads us to say the unsayable. This means it takes us away from the binaries to excess. This approach to writing is different from the protocols of normal academic writings that are linear and hierarchical.
Perhaps, heuretics and not hermeneutics will explain how we deal with the worlds generated by the internet. It is heuretics that goes beyond linearity and logicality and takes us into the non-linear trans-logical world might have the key to explain why we enjoy hopping from one site to the other on the internet. Conventional either/ or thinking cannot explain this illogical and somewhat non-cognitive behaviour. This space cannot be colonised like Euclidian topographic culture. We need a new logic that is non-linear, non-Euclidian. This new logic has to be anti-tree but rhizomatic. The old binary logic tied to either/ or thinking is simply replaced by associational networks. Therefore, it simply also replaces topos / space with Chora, the exclude one between being and becoming ( Platonic celestial and the terrestrial). This replacement enables us to view the worlds of the internet/ cyber space with the dynamic imagery of a choreography. This choreography brings us to the grammatology of the internet and heuretics enables us to have an insight into what we do with the cyber world. The internet is a world of abundance and we explore its inexhaustibility until we ourselves are exhausted. This is why to respond to the dilemma, trilemma, quatrilemma of the internet we need to adopt Hereutics and find the third, fourth and fifth option that remains hidden because of our habituated binary logic of the either/ or thinking.